Conway: Travels in South Kensington
Moncure Daniel Conway published in 1882 a book about South Kensington Museum:
Travels in South Kensington with notes on decorative art and architecture in England New York: Harper Brothers
Though this was the period when Pitt-Rivers' collection was sited at South Kensington Museum sadly he does not mention it. However, he does give a contemporary view of the context in which Pitt-Rivers collection was seen.
Here are some extracts:
pp. 22-24
... ten thousand people and a dozen governments have been at infinite pains and expense to bring the cream of the East and of the West to your own doors ... There is in the South Kensington Museum as noble a Buddha as that at Daiboots, which hundreds of thousands of pilgrims have journeyed for weeks to see: you have only to walk fifteen minutes to see it not a copy either, but the huge bronze itself. You may travel through Mexico, Peru, and Chili for ten years, and in all that time never see one-hundredth part of the vestiges of their primitive life and history which you shall see in the British Museum. Greece? and be captured by brigands. Professor Newton has Greece under lock and key, from Diana's Temple to the private accounts of Pericles. Assyria? you go, and find that the human heart of it has migrated; you come back, and George Smith reconstructs it for you ... it was not long before we were making our pilgrimage through Stone Age and Bronze Age, as recovered by the ages of Iron and Gold, and still more by the ages of Art and Science.
p. 25
Indeed, so far as the museum at South Kensington is concerned to which the present paper is especially devoted to study it with care, and then stand in it intelligently, must, one would say, convey to any man a sense of his own eternity. Vista upon vista! The eye never reaches the farthest end in the past from which humanity has toiled upward, its steps traced in fair victories over chaos, nor does it alight on any historic epoch not related to itself: the artist,artisan, scholar, each finds himself gathering out of the dust of ages successive chapters of his own spiritual biography. And even as he so lives the Past from which he came over again, he finds, at the converging point of these manifold lines of development, wings for his imagination, by which he passes on the aerial track of tendency, stretching his hours to ages, living already in the Golden Year. There is no other institution in which an hour seems at once so brief and so long.
pp. 25-26
**Between two parts of the text: calculated crystals**
Below is a geometry-optimized CaMgGe3 structure, with properties calculated at the GGA-PBE level.

Values from the calculation:
Calculated total energy = -3.2866 eV per atom
ΔH_f (0 K) = 203 meV/atom
DOS(E_F) = 3.0 states/eV per cell

Unit cell a=5.036 b=5.036 c=5.036 alpha=90.00 beta=90.00 gamma=90.00
Sites, in units of the cell vectors:
Mg1 0.000 0.000 0.000
Ge1 0.000 0.500 0.000
Ge2 0.000 0.000 0.500
Ge3 0.500 0.000 0.000
Ca1 0.500 0.500 0.500



Below is a geometry-optimized Pm2Cd2Hg3 structure, with properties calculated at the GGA-PBE level.

Values from the calculation:
Calculated total energy = -1.9883 eV per atom
ΔH_f (0 K) = -240 meV/atom
Energy above the most stable polymorph in this dataset = 96 meV per atom
DOS(E_F) = 6.1 states/eV per cell

Unit cell a=3.419 b=4.849 c=11.248 alpha=102.45 beta=90.00 gamma=90.00
Sites, in units of the cell vectors:
Pm1 0.000 0.851 0.702
Pm2 0.000 0.149 0.298
Cd1 0.500 0.716 0.433
Cd2 0.500 0.284 0.567
Hg1 0.500 0.573 0.147
Hg2 0.500 0.427 0.853
Hg3 0.000 0.000 0.000



Below is a geometry-optimized Be2HPdPt structure, with properties calculated at the GGA-PBE level.

Values from the calculation:
Calculated total energy = -4.7003 eV per atom
DOS(E_F) = 0.4 states/eV per cell

Unit cell a=3.877 b=3.877 c=3.351 alpha=90.00 beta=90.00 gamma=90.00
Sites, in units of the cell vectors:
Be1 0.000 0.500 0.000
Be2 0.500 0.000 0.000
Pd1 0.000 0.000 0.500
Pt1 0.500 0.500 0.500
H1 0.000 0.000 0.000



Below is a geometry-optimized PCl5 structure, with properties calculated at the GGA-PBE level.

Values from the calculation:
Calculated total energy = -1.3620 eV per atom
Formation energy without anion corrections = 1.08 eV per atom
DOS(E_F) = 8.2 states/eV per cell

Unit cell a=5.727 b=5.727 c=5.727 alpha=60.00 beta=60.00 gamma=60.00
Sites, in units of the cell vectors:
P1 0.000 0.000 0.000
Cl1 0.250 0.250 0.250
Cl2 0.626 0.626 0.626
Cl3 0.626 0.626 0.123
Cl4 0.123 0.626 0.626
Cl5 0.626 0.123 0.626



Below is a geometry-optimized ZrNiTe2 structure, with properties calculated at the GGA-PBE level.

Values from the calculation:
Calculated total energy = -5.7779 eV per atom
Formation energy without anion corrections = -0.62 eV per atom
Energy above the most stable polymorph in this dataset = 101 meV per atom
DOS(E_F) = 0.8 states/eV per cell

Unit cell a=6.418 b=6.418 c=3.746 alpha=90.00 beta=90.00 gamma=35.03
Sites, in units of the cell vectors:
Ni1 0.262 0.262 0.125
Te1 0.042 0.042 0.125
Te2 0.759 0.759 0.625
Zr1 0.437 0.437 0.625

* * * * *

Record 1
Pr5Er4Sc4: optimized geometry, PBE.
The museum has been in existence about twenty-five years (1882). Its buildings and contents have cost the nation about one million pounds : an auction on the premises to-day could not bring less than twenty millions. Such a disproportion between outlay and outcome has led some to regard South Kensington as a peculiarly fortunate institution; but there has been no luck in its history. ... If magnificent collections and invaluable separate donationsLave steadily streamed to this museum, so that its buildings are unceasingly expanding for their reception, it is because the law of such things is to seek such protection and fulfil such uses as individuals can rarely provide for them. ... [apparently quoting Henry Cole] "... It is no longer a matter of opinion or of discussion how a building shall be constructed for the purpose of exhibiting pictures and other articles. The laws of it are as fixed as the multiplication table. Where there have been secured substantial, luminous galleries for exhibition, in a fire-proof building, and these are known to be carefully guarded by night and day, there can be no need to wait long for treasures to flow into it.Above all, let your men take care of the interior, and not set out with wasting their strength and money on external grandeur and decoration. The inward built up rightly, the outward will be added in due season."
pp. 30-31
This being the condition of London, the state of things in other parts of the United Kingdom may easily be inferred.There are now fifteen important public museums and art galleries in or near London. The ancient buildings of interest are shown without fees. More than a million people visited a single one of these museums last year. There are seven large schools for art training in London alone, and 151 in the whole country, with 30,239 pupils.
Pages 39 and on discuss the layout of the museum and of the individual galleries
pp. 49-50
Entering now the Ceramic Gallery, we find its contents illustrated by a very ingeniously devised series of window etching (as they may be called), which are probably unique in the his- tory of work on glass. The windows on one side of this room, fifteen in number, each double, were intrusted to Mr. William B. Scott, who as an archaeologist in art has few superiors, Mr. Scott designed no fewer than forty-eight large pictures, representing the history of ceramic art from the most ancient Chinese, Egyptian, Indian, and Persian down to Wedgwood ; and these he has placed in the fifteen windows, where, unhappily, they are little observed, being without mention, much less description, in any work except that now before the reader. They are for the most part in black and white, colors being introduced only once or twice,and then but slightly. The first and second windows are devoted to the Chinese, their work being, if not the earliest,the most ancient in porcelain, and that which has most influenced the European art. Here is shown their whole method, from the preparation of the clay, the half-naked natives bringing the kaolin from caves in panniers, others steeping it in water, refining it in large mortars, and kneading it on tables. The potter is seen before his rude wheel,and forming the vessel by hand-pressure. And after this we trace his work to the furnace, and on to its place in the shop. This work implies the most patient study of original Chinese models. One window represents characteristicChinese ornamentation such as the royal dragon and the bird of paradise, and a bazar at Pekin. The third window represents early Egyptian art. The upper part shows the casting of brick by packing in boxes, and then turning it out,all under the whip of the taskmaster, the work and the whip being but little different to-day from what they were in the ancient days whose relics have been so diligently studied by Mr. Scott on the papyri of the British Museum. Beneath, a skilled workman is painting a large Canopus: he is on his knees, with his feet doubled behind him. One page, so to speak, of this window represents Assyrian art by a triumphal procession, in which immense vases are carried on ox trucks, and smaller ones on the heads of prisoners a design based upon discoveries in Nineveh which show the great importance that people ascribed to earthenware. The fourth window is Greek and Etruscan ...
p. 52
It adds greatly to the charm of these windows that they are as a frame around the objects whose history they tell. Fine examples of the "lustre-ware" from the earliest ages are in this gallery.
pp. 56-57
The visitor to the Ceramic Gallery in this museum will be apt to admit that there were never windows that shed more light than these of the kind required by a student. He will see lustres on the lustre-wares beyond what mere sunlight can give ... He will, indeed, find at every step that he is really exploring in this gallery of pots and dishes strata marked all over with the vestiges of human and ethnical development. Nothing can be more complete than the arrangement of the gallery. Not only is it chronological, but beneath each particular specimen a card tells when and where it was made, and the price paid for it by the museum. If it has gone off with the floating collection, the card reports that also.
p. 58
But it must not be supposed that this is merely an antiquarian collection : the best work now going on all over the world is represented, and one may see by the superb examples of modern Berlin work and of Minton that England and Germany are engaged in a competition for excellence which bids fair to distance anything done in the past.
p. 60
The little sixpenny guide-book sold at the door is necessarily provisional; the historical and descriptive volume which such an institution requires must remain a desideratum so long as the museum itself is changing and growing daily before our eyes. But the materials for that work exist; specialists have studied well the various departments; there exist nearly twenty large Blue-books recording the origin and growth of the museum; and when all these are sifted and their connected story told enriched, as we may hope it will be, from the memories of those men who have founded and conducted the work to its present condition the history so told will be in itself a sort of literary museum, replete with curiosities, picturesque incidents, and romance.
pp. 71-72
It is a happy characteristic of this museum that one meets in it very few objects whose interest or beauty is marred by association with war. The spoils are few, the tokens of friendship with foreign nations innumerable. Some pieces of work in gold brought back from Abyssinia and from the kingdom of Ashantee the latter close to the famous umbrella ofKing Koffee were exhibited, and a few of them remain here to show by their exquisite chasing that blows aimed at so-called savages are likely to fall upon the springing germs of civilization. ... The bird that was perched on the top of King Koffee's state chair is also of fine workmanship. It is rude in design, truly; but it is hardly ruder than the golddove, the ampulla which holds the oil used at English coronations ; and perhaps, like the latter, it purposely imitated aprimitive and consecrated form. These African trophies are unpleasantly suggestive of the worst phase of British policy, or impolicy; but they are slight incidents in a museum which will forever be considered the ripest fruit of the long Victorian and victorious era of Peace.
It is quite impossible for me to invite my reader to an exploration of the loan collections. Some of the ancient jewellery and gold work which has been, or is, shown here is not only intrinsically priceless and beautiful, but also historical ...
pp. 79-80
The visitor to South Kensington should bear in mind that there may be Loan Exhibitions in some of the adjacent buildings of a highly important character. As I write there is a collection on exhibition which will well repay a visitor for the exploration required to reach it, for it has had to find rooms on the west side of the Gardens: this is the anthropological collection gathered by General Pitt Rivers, who, before he became heir of the late Lord Rivers, had made the name of Lane Fox so noble in the [p.80] scientific world that one almost regrets that his good-fortune, in which all rejoice, involved a change of name. In this collection the evolution of savage and barbarian weapons, ornaments, utensils, and the like may be studied. General Pitt Rivers has arranged boomerangs in series, so that the completest form may be traced back to the first slightly curved stick found to carry some increase of force. The development of a shield from a mere stick grasped in the hand, next with a protection for the hand, may be traced. There is a series of paddles upon which may be followed a human form, degraded from one surface to another, until a grotesque conventional figure appears on the last without a trace of human semblance. The ornamental marks on the bodies of the pots are found in some instances to have been suggested by the network print left by their corded holders. These are but a few instances of the way in which objects are made by a man of science to tell their own history. Among the articles which have received the attention of General Pitt Rivers are the caps worn by the women of Brittany, and a few supplementary cases of these have been added to his wonderful collection. An examination of these caps which are of so much importance that a woman is not allowed to enter church without one, nor with one of a pattern belonging to another parish shows good reason for the supposition that their sanctity is derived from them all having been developed from the head-dress of the nun. Such is the opinion that General Pitt Rivers expressed when he conducted me through his rooms. He showed me that each cap has parts which correspond to parts of the normal cap of the nun. These parts have grown small in some cases; in others they are pinned up ; but in the latter case they are let down on important occasions funerals and weddings and the wearers are then all nun-like.
These little French things, however, are hardly to be included in this great collection perhaps the most important private collection of objects illustrative of anthropology in the world. Nor is there any book more useful to the student of anthropology than the illustrated and explanatory catalogue of 1247 [p. 81] of these objects prepared by GeneralPitt Rivers, and published by the Science and Art Department.[footnote]
[footnote] Since this was written General Pitt Rivers has offered his grand collection to the nation as a free gift, and I am ashamed and astounded to learn that it has been declined! The great men connected with the South Kensington institutions Huxley, Poynter, Cunliffe Owen, and others were felicitating themselves at this splendid acquisition, when this mysterious refusal came. Sir John Lubbock, as I write, is questioning the Government on the subject, and it is possible the outrageous folly may be checked. I regret to say there are indications that the cause of it is a certain jealousy that has sprung up in influential quarters at the prodigious growth of the South Kensington collections. For the moment they have managed to make the British Museum a sort of dog-in-the-manger. I cannot believe, however,that the country will consent that such jealousy shall become n contest so costly to itself. The incident I have just mentioned tempts me to strike out from this work some complimentary things I have written concerning the administration of the Science and Art Department; but the facts have not yet been publicly sifted, and I leave what is written in hope that the result of this strange affair may not turn all its admiration to satire.
p. 81
Various public men sent their treasures to the museum in its earlier days, when they were more needed than now ;but it has been found necessary to select fastidiously from the too numerous articles offered every year as loans.Many families owning valuable collections find it difficult to keep them in perfect safety, and more begin to realize that such articles should not be of private advantage.Some collections, originally received as loans, it is pretty certain will never be removed; andI am assured by the director that the museum has been notified of being remembered in many wills.This gentleman, Sir Philip Cunliffe Owen, and his predecessor, Sir Henry Cole, said to me, in conversation about the prospect of building museums in the American cities, that they had no doubt such institutions, if good and safe buildings were erected, would there as well as here find themselves centres of gravitation for the art treasures and curiosities owned by the community around them. This museum, though hardly out of its teens, has received seven great collections, worth collectively more than two million dollars; thirteen bequests, worth over half a million dollar;and a large number of donations whose aggregate money value is very great, though not yet estimated.
p. 86
The 17th of May, 1880, is an historic day in the annals of the museum. On that day was thrown open to the public its Indian section. A small collection of Indian curiosities has been long wandering from one place to another in London, and had finally been shelved at the very top of the India Office.So, at any rate, it was stated, and most persons were willing to accept the statement on faith by the time they reached the third story of that edifice.However, the collection steadily increased up there, and it was at length removed to some rooms at South Kensington. But there it attracted little attention from the public, though much from scholars, and it was publicly announced that it would be closed because it did not pay expenses.The authorities ultimately followed better counsels:they gave it up to the Direction of the South Kensington Museum. The Queen loaned it the magnificent collection of Oriental armor from Windsor Castle; Indian treasures hitherto dispersed through the other courts of the museum were gathered together in the new section; Dr. Leitner's collection of Graeco-Buddhist sculptures was added; the walls adorned with Carpenter's water-colors illustrative of Indian scenery and life ;and lo!London awaked one morning to find that it had a new and splendid institution, which the Queen and her family had visited the day before with "the greatest satisfaction."
p. 107 and on Memorandum of regulations for the South Kensington school of art and design when John Sparkes was the Head-Master [with whom Pitt-Rivers corresponded to obtain help in securing suitable assistants]:
Head-Master, J. SPARKES.
Mechanical and Architectural Drawing, H. B. HAGREEN.
Geometry and Perspective, E. S. BURCKETT.
Painting, Free-hand Drawing of Ornament, etc., the Figure and Anatomy, and Ornamental Design, J. SPARKES, C. P. SLOCOMBE, T. CLACK, F. M. MILLER.
Modelling, M. LANTERE
# Materials data, kept here for reference
-- begin --
Below is an optimized crystal structure of Li2GaW, with properties calculated at the GGA-PBE level.

Cell: 6.871 6.871 5.128 Å, 90.00 90.00 90.00°
Space group I-42d (No. 122)
Inequivalent atoms, fractional coordinates:
Li: 0.226 0.250 0.125
Ga: 0.000 0.000 0.000
W: 0.000 0.000 0.500



Below is an optimized crystal structure of Na8Al3Ga3Si6Cl2O24, with properties calculated at the GGA-PBE level.

Cell: 12.7329 12.7329 15.5885 Å, 90.00 90.00 120.00°
Space group R3 (No. 146, hexagonal axes)
Inequivalent atoms, fractional coordinates:
Na: 0.0000 0.0000 0.0000
Na: 0.0000 0.0000 0.4990
Na: 0.1000 0.5554 0.3973
Na: 0.1015 0.5559 0.9013
Al: 0.0856 0.6685 0.5926
Ga: 0.0014 0.2520 0.4227
Si: 0.0016 0.2487 0.9228
Si: 0.0820 0.6681 0.0924
Cl: 0.0000 0.0000 0.1750
Cl: 0.0000 0.0000 0.6731
O: 0.0004 0.7085 0.3256
O: 0.0030 0.2782 0.8199
O: 0.0438 0.6711 0.4853
O: 0.0445 0.3760 0.9752
O: 0.0853 0.8954 0.4331
O: 0.0932 0.1942 0.9358
O: 0.1829 0.8035 0.1274
O: 0.1867 0.3874 0.6250

**E_form (uncorrected)**: -2.4939 eV per atom



Below is an optimized crystal structure of Co2Se, with properties calculated at the GGA-PBE level.

Cell: 3.477 3.477 3.477 Å, 90.00 90.00 90.00°
Space group P4/mmm (No. 123)
Inequivalent atoms, fractional coordinates:
Co: 0.000 0.500 0.000
Se: 0.000 0.000 0.500

**E_form (uncorrected)**: 0.3092 eV per atom
**Relative energy among the computed polymorphs**: 440 meV/atom



Below is an optimized crystal structure of TaSeBr2N, with properties calculated at the GGA-PBE level.

Cell: 5.214 5.214 4.964 Å, 90.00 90.00 90.00°
Space group P4/mmm (No. 123)
Inequivalent atoms, fractional coordinates:
Ta: 0.000 0.000 0.000
Se: 0.000 0.000 0.500
Br: 0.000 0.500 0.000
N: 0.500 0.500 0.500

**E_form (uncorrected)**: 0.6790 eV per atom
**Relative energy among the computed polymorphs**: 0 meV/atom



| no. | V (Å³ per cell) | final energy (eV per atom) |
| --- | --- | --- |
| 1 | 242 | -4.215 |
| 2 | 2189 | -6.539 |
| 3 | 42 | -5.590 |
| 4 | 135 | -4.723 |
-- stop --
Etching, A. LEGROS.
... 1. The courses of instruction pursued in the School have for their object the systematic training of teachers, male and female, in the practice of Art and in the knowledge of its scientific principles, with the view of qualifying them to impart to others a careful Art education, and to develop its application to the common uses of life and to the requirements of Trade and Manufactures. Special courses are arranged in order to qualify School-masters ofElementary and other Schools to teach Elementary Drawing as a part of general education concurrently with writing.
2. The instruction comprehends the following subjects : Free-hand, Architectural, and Mechanical Drawing; PracticalGeometry and Perspective; Painting in Oil, Tempera, and Water-colors; Modelling, Moulding , and Casting. The Classes for Drawing, Painting, and Modelling include Architectural and other Ornament, Flowers, Objects of still-life, etc., the Figure from the Antique and the Life, and the study of Anatomy as applicable to Art.
3. The Annual Sessions, each lasting five months, commence on the 1st of March and the 1st of October, and end on the last day of July and the last day of February, respectively. Students can join the School at any time, the tickets running from date to date. The months of August and September, one week at Christmas, and one week at Easter or Whitsuntide, are Vacations. The classes meet every day except Saturday. Hours of Study : Day, 10 to 3 ;Evening, 7 to 9.
... FEES.
For classes studying for five whole days, including evenings : 5 for five months. For three whole days, including evenings: 4 for five months. For the half-day morning, 10 to 1 ; or afternoon, 1 to 3 : 4 for five months. To all these classes there is an entrance fee of 10s.
Evening Classes: Male School: 2 per session. Artisan Class: 10s. per session ; 3s. per month. Female School: 1 per session, three evenings a week.
No students can be admitted to these classes until they have passed an examination in Freehand Drawing of the 3d Grade. Examinations of candidates will be held weekly, at the commencement of each session, and at frequent intervals throughout the year.
Transcribed by AP December 2011